What to do
Copy only the lines below with the word "mol" in them.
Entries
'''
No. 1
# C12H24AlBr2F3NO

A molecular structure, C12H24AlBr2F3NO in a non-equilibrium geometry (ωB97M-V with the def2-TZVPD basis set, the OMol25 dataset).

Structure (ORCA input):
```
! wB97M-V def2-TZVPD RIJCOSX def2/J DEFGRID3
* xyz -1 1
C 0.8668 3.1906 2.7470
C 1.1108 2.3961 1.4608
C -0.2017 1.8677 0.8615
C -0.5426 2.5273 -0.4691
C 0.1765 1.9593 -1.7159
Al 0.6659 -0.0110 -1.7804
C -0.9494 -1.2494 -1.5933
C -2.2438 -0.5906 -1.0873
C -3.1005 -1.4500 -0.1722
F -3.2637 -2.7149 -0.6523
Br -2.2913 -1.5888 1.6120
C -4.5388 -0.9005 -0.0010
F -5.1542 -0.8656 -1.2242
F -5.2895 -1.7191 0.8014
Br -4.6099 0.8938 0.7589
C 2.2006 -0.4543 -0.4952
C 2.7269 -1.8613 -0.7431
O 4.1721 -1.8902 -0.8703
C 2.3596 -2.8714 0.3676
N 1.1174 -2.5891 1.0855
H 0.1298 3.9679 2.5501
H 1.7768 3.6185 3.1533
H 0.4089 2.5184 3.4700
H 1.6399 3.0049 0.7310
H 1.7780 1.5728 1.7063
H -0.9995 2.1163 1.5686
H -0.1885 0.7823 0.8002
H -0.3153 3.5928 -0.3517
H -1.6192 2.4916 -0.6441
H -0.4163 2.2242 -2.5945
H 1.1182 2.5022 -1.8478
H 1.3139 -0.3032 -3.2557
H -0.6677 -2.0534 -0.9100
H -1.1656 -1.7165 -2.5512
H -2.0743 0.3425 -0.5614
H -2.8832 -0.3841 -1.9456
H 1.9465 -0.3126 0.5503
H 2.9960 0.2250 -0.8050
H 2.3967 -2.2446 -1.7060
H 4.4921 -1.4081 -0.1081
H 2.3198 -3.8636 -0.0857
H 3.1945 -2.8729 1.0634
H 1.2440 -2.6854 2.0779
H 0.3632 -3.1935 0.8056
*
```

Calculated values
- DFT total energy (eV) = -171206.666
- highest occupied orbital energy (eV) = -4.7
- energy above the lowest of the compared OMol25 structures with the same formula, charge and spin (kcal/mol) = 0.0
- LUMO energy (eV) = 2.5047
- molecular weight (g mol⁻¹) = 442.11

Results of the natural (NBO) charge analysis, in e, for atoms 1 through 8: atom 1 (C): -0.598, atom 2 (C): -0.396, atom 3 (C): -0.409, atom 4 (C): -0.389, atom 5 (C): -0.974, atom 6 (Al): 1.396, atom 7 (C): -0.970, atom 8 (C): -0.469

=====

No. 2
# C12H24AsF5MoO2SbTe

A molecular structure, C12H24AsF5MoO2SbTe (ωB97M-V with the def2-TZVPD basis set, the OMol25 dataset).

Structure (ORCA input):
```
! wB97M-V def2-TZVPD RIJCOSX def2/J DEFGRID3
* xyz 3 1
Mo -3.1314 -0.1122 0.1159
C -4.5546 1.8964 -0.1988
C -5.4695 0.8386 -0.0827
C -5.5033 0.0406 1.0662
C -4.6088 0.2753 2.1169
C -3.7283 1.3697 2.0185
C -3.7004 2.1844 0.8796
H -4.5252 2.5070 -1.0914
H -6.1251 0.6051 -0.9106
H -6.1871 -0.7958 1.1198
H -4.6189 -0.3454 3.0017
H -3.0186 1.5513 2.8145
H -3.0073 3.0117 0.8106
F 0.5144 1.5996 1.0296
Te 0.0803 0.8158 -0.5795
F 1.3801 1.7652 -1.4874
F -1.8437 -0.1992 -1.5350
F 5.8869 1.1994 0.9613
F -1.0778 2.2012 -0.9151
O -1.6899 -0.0981 1.0049
C 8.0523 3.3244 0.2782
Sb 7.6283 1.6870 1.4983
C 8.7489 -0.0264 1.0967
C 7.3909 2.1230 3.5239
H 9.1108 3.5651 0.3712
H 7.4465 4.1703 0.5949
H 7.8216 3.0517 -0.7497
H 9.7464 0.1025 1.5154
H 8.8093 -0.1631 0.0194
H 8.2550 -0.8761 1.5636
H 8.3634 2.3824 3.9414
H 6.9937 1.2427 4.0246
H 6.7064 2.9624 3.6235
C -5.0502 -4.0804 -1.7552
As -3.6496 -2.8129 -1.9713
C -3.6540 -2.0464 -3.7128
C -1.9549 -3.5625 -1.5297
O -4.0059 -1.5418 -0.8464
H -4.8715 -4.9131 -2.4360
H -5.9990 -3.6062 -1.9992
H -5.0602 -4.4413 -0.7286
H -3.4709 -2.8354 -4.4426
H -2.8706 -1.2937 -3.7650
H -4.6277 -1.5974 -3.9004
H -1.8577 -4.5226 -2.0365
H -1.9003 -3.7176 -0.4532
H -1.1729 -2.8853 -1.8639
*
```

Calculated values
- DFT total energy (eV) = -107016.702
- highest occupied orbital energy (eV) = -16.8
- energy above the lowest of the compared OMol25 structures with the same formula, charge and spin (kcal/mol) = 0.0
- LUMO energy (eV) = -9.1535
- molecular weight (g mol⁻¹) = 715.53

Results of the natural (NBO) charge analysis, in e, for atoms 1 through 8: atom 1 (Mo): 1.466, atom 2 (C): -0.199, atom 3 (C): -0.178, atom 4 (C): -0.157, atom 5 (C): -0.218, atom 6 (C): -0.163, atom 7 (C): -0.192, atom 8 (H): 0.283

=====

No. 3
# C12H24AuN6O

A molecular structure, C12H24AuN6O (ωB97M-V with the def2-TZVPD basis set, the OMol25 dataset).

Structure (ORCA input):
```
! wB97M-V def2-TZVPD RIJCOSX def2/J DEFGRID3
* xyz -1 1
Au 0.8019 -2.1185 0.7027
'''
Outcome
- energy above the lowest of the compared OMol25 structures with the same formula, charge and spin (kcal/mol) = 0.0
- molecular weight (g mol⁻¹) = 442.11
- energy above the lowest of the compared OMol25 structures with the same formula, charge and spin (kcal/mol) = 0.0
- molecular weight (g mol⁻¹) = 715.53